********
No. 1
! HfW2 PBE relaxed; values from VASP
&SYSTEM
  ibrav = 0, nat = 3, ntyp = 2
/
ATOMIC_SPECIES
Hf 178.49 Hf.upf
W 183.84 W.upf
ATOMIC_POSITIONS crystal
Hf 0.000 0.000 0.000
W 0.673 0.673 0.347
W 0.327 0.327 0.653
CELL_PARAMETERS angstrom
-1.618 -1.678 1.678
-1.618 1.678 -1.678
1.618 -4.880 -4.880
! total energy: -35.58 eV for the cell shown

***

No. 2
! LiAl4Cd2O8 PBE relaxed; values from VASP
&SYSTEM
  ibrav = 0, nat = 15, ntyp = 4
/
ATOMIC_SPECIES
Li 6.94 Li.upf
Al 26.98 Al.upf
Cd 112.41 Cd.upf
O 16.00 O.upf
ATOMIC_POSITIONS crystal
Li 0.662 0.662 0.088
Al 0.463 0.463 0.028
Al 0.511 0.984 0.502
Al 0.984 0.511 0.502
Al 0.463 0.463 0.547
Cd 0.105 0.105 0.145
Cd 0.921 0.921 0.829
O 0.264 0.264 0.700
O 0.279 0.673 0.274
O 0.673 0.279 0.274
O 0.264 0.264 0.272
O 0.751 0.751 0.284
O 0.719 0.335 0.723
O 0.335 0.719 0.723
O 0.751 0.751 0.714
CELL_PARAMETERS angstrom
-4.656 -4.229 0.110
-4.656 0.110 -4.229
0.000 -4.119 -4.119
! total energy: -90.49 eV for the cell shown
! polymorph energy (0 for the lowest one): 25 meV/atom

***

No. 3
! CaMn2S4 PBE relaxed; values from VASP
&SYSTEM
  ibrav = 0, nat = 14, ntyp = 3
/
ATOMIC_SPECIES
Ca 40.08 Ca.upf
********
Now restate everything further up with every line break kept.
No. 1
! HfW2 PBE relaxed; values from VASP
&SYSTEM
  ibrav = 0, nat = 3, ntyp = 2
/
ATOMIC_SPECIES
Hf 178.49 Hf.upf
W 183.84 W.upf
ATOMIC_POSITIONS crystal
Hf 0.000 0.000 0.000
W 0.673 0.673 0.347
W 0.327 0.327 0.653
CELL_PARAMETERS angstrom
-1.618 -1.678 1.678
-1.618 1.678 -1.678
1.618 -4.880 -4.880
! total energy: -35.58 eV for the cell shown

***

No. 2
! LiAl4Cd2O8 PBE relaxed; values from VASP
&SYSTEM
  ibrav = 0, nat = 15, ntyp = 4
/
ATOMIC_SPECIES
Li 6.94 Li.upf
Al 26.98 Al.upf
Cd 112.41 Cd.upf
O 16.00 O.upf
ATOMIC_POSITIONS crystal
Li 0.662 0.662 0.088
Al 0.463 0.463 0.028
Al 0.511 0.984 0.502
Al 0.984 0.511 0.502
Al 0.463 0.463 0.547
Cd 0.105 0.105 0.145
Cd 0.921 0.921 0.829
O 0.264 0.264 0.700
O 0.279 0.673 0.274
O 0.673 0.279 0.274
O 0.264 0.264 0.272
O 0.751 0.751 0.284
O 0.719 0.335 0.723
O 0.335 0.719 0.723
O 0.751 0.751 0.714
CELL_PARAMETERS angstrom
-4.656 -4.229 0.110
-4.656 0.110 -4.229
0.000 -4.119 -4.119
! total energy: -90.49 eV for the cell shown
! polymorph energy (0 for the lowest one): 25 meV/atom

***

No. 3
! CaMn2S4 PBE relaxed; values from VASP
&SYSTEM
  ibrav = 0, nat = 14, ntyp = 3
/
ATOMIC_SPECIES
Ca 40.08 Ca.upf